Part III of this series will delve into understanding how to optimize methods for chromatographic separations, Smith will also introduce the concepts of capacity factor and selectivity.
In our ongoing quest to understand how to optimize methods for chromatographic separations, we will see how to calculate retention times and introduce the concept of the capacity factor. The capacity factor normalizes retention time so that these quantities can be compared to each other even if separations are performed under different conditions. The capacity factor will help us predict how well analytes will be separated from each other, and we will find that this depends upon an important concept from the last column, the fraction of time the analyte spends on the stationary phase, Fs.
Following up on our discussion of quantitating the separation of mixtures from the last column, here we will discuss further how to calculate the expected retention time of an analyte, and then define what are called capacity factors. The capacity factor is a way of normalizing retention times so we can compare chromatograms that are measured, for example, at different flow rates.
Recall that in the last column (1), we derived an equation that allows us to calculate the elution time for an analyte, as seen in Equation 1:
where te is the retention time, t0 is the void time in minutes, and Fs is the fraction of time spent adsorbed on the stationary phase.
Note that the quantity (1-Fs) is in the denominator. So as Fs goes up, that is, the higher the fraction of time an analyte spends adsorbed and immobile on the stationary phase, (1-Fs) goes down and hence te goes up. If you imagine our different types of analyte molecules are in a horse race as in the last column (1), Equation 1 says, for example, that a horse that spends more time standing around grazing, as horses are wont to do, and not moving will get to the finish line later than a horse that spends all its time running.
Equation 1 is, in my opinion, the most important equation in chromatography because it relates the quantity we care about as measured by a chromatograph, the elution time of an analyte, to a property of the analyte—the fraction of time it spends on the stationary phase. We will be seeing Equation 1 a lot going forward because it will provide us with the theoretical foundation for understanding how different chromatography separation methods work. As I have mentioned (1), and will probably mention again, the tricky part in achieving a separation is getting Fs to be different for all the analytes in a mixture you wish to separate.
Figure 1 shows a chromatogram from last time (1). We assumed the sample was tetrahydrocannabinol (THC) dissolved in ethanol, and that the ethanol molecules had no affinity for the stationary phase, did not adsorb, and hence had a Fs value of 0. We also established last time (1) that the t0 for ethanol is 2 min. The elution time of ethanol then using Equation 1 is:
which shows that for unadsorbed molecules the elution time is the void time, which here is 2 min.
Now Equations 2-4 were an easy calculation because we were not dealing with an analyte. Last column we assumed (1) that our THC molecule spent ½ of its time on the stationary phase, or in other words its Fs is 0.5. How then would we calculate the retention time of this analyte?
Using Equation 1 as such:
The reason THC has an elution time of 4 min in Figure 1 is that 2 x 2 min = 4 min. Note that the elution time for THC is twice that of ethanol because it spent half its time stationary whereas the ethanol spent no time stationary.
The beauty of Equation 1 is that it allows us to calculate the retention time of an analyte as long as we know Fs. The practical problem here is that we rarely know Fs exactly because it depends upon several factors including the chemical natures of the analyte, mobile phase, and stationary phase. Thus, our lack of knowledge of the exact value of Fs means we must experiment with chromatographic conditions to optimize separations. However, Equation 1 is still true and can help guide our experiments. Given knowledge of the chemical structures of the analytes to be separated, one can deduce based on Equation 1 what types of experiments to perform to obtain different values of Fs for the analytes and hence achieve a separation. More on that in future columns.
As with all things chromatography, I refer you to publications (2,3) and references therein for a more detailed discussion of what is presented here.
So far, we have only considered a single chromatogram measured under controlled conditions. A problem with chromatography is that variations in the experimental variables affect retention time. For example, when we first discussed Figure 1 (1), we stated that the flow rate was 1 mL/min which gave t0 = 2 min. Now, if we slow down the flow rate for this separation to 0.5 mL/min, an unadsorbed analyte molecule will take twice as long to elute as before and give a t0 of 4 min. Note that in the calculation for the retention time of THC in Equations 5-7 they all depend on t0. Specifically, Equation 6 says that the retention time for THC equals 2t0. By slowing down our flow rate to 0.5 mL/min and increasing t0 to 4 min the elution time for THC is now 8 min, compared to 4 min at a flow rate of 1 mL/min. These results mean that separations performed at different flow rates have different retention times, which ultimately means retention times in chromatograms run at different flow rates cannot be compared to each other.
A practical problem with chromatography, particularly with the pumps used in liquid chromatography, is that a given pump may not give the same exact flow rate over time. Worse yet, pumps on different instruments set to the same flow rate may give measurably different flow rates. This means that elution times for the same sample can vary from instrument to instrument, which is a real problem when comparing data across instruments and developing methods.
Fortunately, there is a solution to this problem. We calculate for each peak in a chromatogram what is called its capacity factor, k. The capacity factor gives us a way of normalizing retention times so we can compare them across separations on different chromatographs. For example, capacity factors allow us to compare retention times when separations are performed at differing flow rates. The equation for calculating a capacity factor for a given chromatographic peak is seen in Equation 8:
where k is the capacity factor, te is the elution time, and t0 is the void time.
Let’s calculate the capacity factors for the two peaks in Figure 1. For ethanol te = t0, which means (te – t0) = 0 hence k = 0. This shows that for all void time peaks the capacity factor is 0. From Figure 1 te for THC is 4 min and t0 is 2 min, hence its capacity factor is:
These records of molecules were left in the entry by mistake:
Entry 1:
# C12H31F3N2O5

A structure of composition C12H31F3N2O5 in a non-equilibrium geometry (the ωB97M-V functional and the def2-TZVPD basis, OMol25).

Values from the calculation:
* energy: -1260.35036 Eh
* orbital gap: 8.390 eV
* energy relative to the best compared isomer or geometry (same formula, charge and spin): 429.3 kcal per mole
* HOMO level: -0.2865 hartree
* lowest unoccupied orbital energy: 0.60 eV

```
! RIJCOSX wB97M-V def2-TZVPD def2/J DEFGRID3
* xyz 0 1
O -18.22 -23.30 -4.27
H -19.00 -23.21 -3.73
H -18.50 -23.43 -5.18
H -17.72 -22.48 -4.20
C -18.87 -23.14 -6.99
O -17.70 -22.32 -6.84
O -18.99 -23.90 -5.82
C -20.20 -22.17 -7.52
F -21.34 -22.85 -7.75
F -20.55 -21.15 -6.70
F -20.02 -21.43 -8.70
C -17.08 -21.80 -8.07
C -15.75 -21.37 -7.57
H -15.71 -20.66 -6.74
H -15.28 -22.26 -7.16
H -15.22 -21.12 -8.49
H -17.54 -20.98 -8.64
H -16.98 -22.60 -8.80
H -18.80 -23.92 -7.75
C -18.71 -20.64 -4.26
C -17.18 -20.76 -3.93
C -16.98 -21.32 -2.53
O -18.00 -22.21 -2.07
C -18.20 -22.15 -0.73
N -16.80 -21.74 -4.89
H -19.37 -21.35 -3.75
H -18.86 -20.49 -5.32
H -19.17 -19.75 -3.84
H -16.68 -19.80 -4.06
H -17.09 -20.40 -1.95
H -15.95 -21.64 -2.31
H -17.27 -21.99 -0.19
H -18.70 -23.09 -0.53
H -18.95 -21.42 -0.44
H -16.86 -21.29 -5.79
H -15.79 -21.78 -4.85
C -21.89 -24.64 -3.85
C -20.64 -23.91 -4.36
C -20.89 -22.72 -5.36
O -21.93 -21.90 -5.05
C -21.94 -20.66 -5.79
N -19.87 -23.37 -3.20
H -22.26 -25.12 -4.76
H -22.54 -23.93 -3.34
H -21.74 -25.42 -3.11
H -19.95 -24.55 -4.91
H -21.07 -23.14 -6.35
H -19.97 -22.14 -5.41
H -22.09 -20.72 -6.87
H -21.00 -20.13 -5.65
H -22.69 -19.94 -5.48
H -20.21 -23.80 -2.35
H -20.23 -22.43 -3.08
*
```


Entry 2:
# C12H31FeN2O10S2

A structure of composition C12H31FeN2O10S2 in a non-equilibrium geometry (the ωB97M-V functional and the def2-TZVPD basis, OMol25).

Values from the calculation:
* energy: -3397.75176 Eh
* orbital gap (spin up / spin down): 8.232 / 8.598 eV
* HOMO level (spin up / spin down): -0.3153 / -0.3288 hartree
* lowest unoccupied orbital energy (spin up / spin down): -0.35 / -0.35 eV

```
! RIJCOSX wB97M-V def2-TZVPD def2/J DEFGRID3
* xyz 0 6
Fe -0.92 0.60 0.44
C 3.90 -2.92 -2.41
O 3.29 -2.32 -1.31
C 4.11 -2.14 -0.17
C 3.22 -1.66 1.00
N 2.21 -2.79 1.37
H 1.56 -2.81 0.60
H 2.63 -3.69 1.53
C 1.34 -2.63 2.64
C 0.67 -1.29 2.74
O -0.48 -1.05 1.91
C -1.58 -1.95 2.25
H 4.30 -3.86 -2.02
H 4.69 -2.27 -2.77
H 3.21 -3.14 -3.23
H 4.92 -1.42 -0.23
H 4.62 -3.07 0.07
H 2.73 -0.72 0.75
H 3.82 -1.59 1.91
H 2.02 -2.83 3.46
H 0.68 -3.50 2.62
H 1.43 -0.55 2.49
H 0.35 -1.12 3.77
H -2.52 -1.54 1.87
H -1.66 -2.26 3.29
H -1.42 -2.94 1.81
S -0.20 -1.37 -1.08
O -0.11 -1.35 -2.50
O 0.18 -2.68 -0.55
O 0.47 -0.29 -0.41
O -1.49 -0.84 -0.60
S -0.98 1.98 2.64
O -0.56 1.45 3.94
O -0.01 1.76 1.56
O -1.97 1.17 1.91
O -1.28 3.41 2.69
C 0.64 3.07 -1.21
C -0.87 3.30 -0.85
N -1.62 2.01 -0.90
C -2.97 2.48 -0.45
C -4.03 1.30 -0.27
C -1.61 1.55 -2.34
C -2.32 2.41 -3.39
H 1.14 4.03 -1.09
H 0.90 2.74 -2.22
H 1.19 2.43 -0.51
H -0.82 3.78 0.13
Figure 2 shows the chromatogram from Figure 1 with its peaks labeled with their capacity factors.
+++
Formula: C32H24IN3O4SV
Source: the Open Molecules 2025 dataset
Level of theory: ωB97M-V with the def2-TZVPD basis set

The frontier orbital gap (spin up / spin down) is 5.09 / 3.86 eV. The calculation puts the electronic energy at -3338.9962 a.u.

```
! RIJCOSX wB97M-V def2-TZVPD def2/J DEFGRID3
* xyz -2 2
V 0.38736 0.40827 0.24656
N 0.61297 3.12562 3.83795
C 0.76426 2.14363 2.86063
S 2.05074 2.32677 1.76260
N -0.03057 1.12585 2.94228
N 0.14998 0.11849 2.04653
C 0.25903 -1.07359 2.58355
C 0.33201 -2.31031 1.87757
C 0.61955 -3.49235 2.57476
C 0.75906 -4.70660 1.92845
C 0.59438 -4.77132 0.55301
C 0.26309 -3.63603 -0.16257
C 0.10966 -2.38547 0.46135
O -0.29150 -1.36306 -0.22515
H 0.96943 4.02112 3.53560
H -0.32238 3.15811 4.22391
H 0.30436 -1.11391 3.67470
H 0.74412 -3.43679 3.65081
H 0.99677 -5.60261 2.49028
H 0.71267 -5.71292 0.03002
H 0.12107 -3.68814 -1.23492
I -2.98630 -0.29326 1.09810
C -3.25059 1.38530 -0.19542
C -4.56908 1.64445 -0.50838
C -4.89560 2.72266 -1.32923
C -3.89676 3.52587 -1.80426
C -2.54062 3.27608 -1.48964
C -1.54669 4.12208 -1.99863
C -0.22167 3.88188 -1.71286
C 0.12854 2.79693 -0.91909
C -0.79215 1.90700 -0.36590
C -2.16940 2.15642 -0.65959
H -5.35210 1.01424 -0.11055
H -5.93388 2.92149 -1.56687
H -4.12592 4.37919 -2.43173
H -1.83588 4.95936 -2.62402
H 0.54669 4.52116 -2.13147
H 1.19115 2.63383 -0.74826
O 0.19983 0.15571 -2.36603
C 1.39910 -0.10595 -3.06969
C 2.58755 -0.47315 -2.02978
O 3.67620 -0.73592 -2.53111
O 2.25362 -0.45419 -0.83932
C 1.71681 1.17443 -3.81268
C 2.72027 2.03948 -3.40024
C 2.90802 3.25165 -4.04075
C 2.08537 3.62281 -5.08954
C 1.07039 2.77304 -5.49547
C 0.89089 1.55456 -4.86525
C 1.28578 -1.31351 -3.95118
C 0.32193 -2.28650 -3.69026
C 0.30797 -3.47846 -4.38714
C 1.25395 -3.72122 -5.36962
C 2.20640 -2.75288 -5.65117
C 2.22621 -1.56157 -4.95074
H 0.13460 -0.51986 -1.65482
H 3.36483 1.76093 -2.58057
H 3.70115 3.91053 -3.71606
H 2.23392 4.57171 -5.59138
H 0.41657 3.05964 -6.30901
H 0.10051 0.88887 -5.18156
H -0.41763 -2.10387 -2.92377
H -0.43904 -4.22769 -4.15402
H 1.26216 -4.66556 -5.89737
H 2.94503 -2.93454 -6.42130
H 2.98582 -0.82228 -5.15247
*
```

* * * * *

1.
One molecule with the formula C18H16ClN5O3S2 in a non-equilibrium geometry. Source: the OMol25 dataset; level of theory: wB97M-V/def2-TZVPD.

Positions of all 45 atoms, in Å:
1 N -3.2480 3.5542 4.1000
2 N -6.4624 2.2653 4.7603
3 O -2.2646 -1.9989 -0.2495
4 O 1.3716 -2.2099 0.8134
5 Cl 2.6406 4.1593 0.4318
6 C -3.2954 2.6279 3.3909
7 N -5.6759 0.5250 3.1280
8 N -6.0344 1.4507 3.9320
9 O 1.0407 -3.7329 -0.9056
10 S -4.1138 -0.8316 1.4997
11 S 3.6876 0.0530 -3.0776
12 C -1.8256 -0.9300 0.1125
13 C 0.9034 -2.5227 -0.2889
14 C -4.4600 0.5737 2.4855
15 C -3.3832 1.4612 2.5556
16 C -2.5834 -0.1327 1.0209
17 C -2.3535 1.0898 1.6146
18 C 0.9935 2.7018 1.9725
19 C 0.0826 3.3600 -0.1415
20 C -0.1581 1.9807 2.2745
21 C -1.0804 2.6326 0.1185
22 C 1.1259 3.3720 0.7736
23 C -1.1969 1.9037 1.3154
24 N -0.6365 -0.5354 -0.4168
25 C 1.8017 -4.7152 -0.1465
+++
**End of the records of molecules**
We said above that if we slowed our flow rate down to 0.5 mL/min t0 for our separation becomes 4 min and the te for THC becomes 8 min. We have established that the capacity factor for all peaks at t0 is 0. What is the capacity factor for THC at this new flow rate?
Note that despite the change in flow rate the capacity factor for THC is still 1 as seen in both Equations 10 and 12. The reason for this is that in equation 8 the numerator is in units of time, the denominator is in units of time, and when we calculate k the two units cancel, meaning the capacity factor is a unitless quantity that does not depend upon flow rate. This means that by using chromatograms labeled with their capacity factors we can compare retention times to each other even if they are measured at different flow rates.
Figure 3 shows a chromatogram with a void volume peak and two analyte peaks. In this chromatogram t0 is 2 min and the analyte elution time for peak A is 4 min and the elution time for peak B is 8 min. What are the capacity factors for the peaks in this separation? Well, the first two peaks are the same as in Figure 1, so their capacity factors are still 0 and 1, respectively. The capacity factor for peak B, kb, is calculated as follows:
kb = 3
Peaks A and B are said to be baseline separated because there is no overlap between them and there is a flat baseline between them. Note that they also have quite different capacity factors, which indicates that the relative capacity factors of two peaks might be a measure of the quality of a separation. More on that next time.
We presented the equation from last time for how to calculate elution time, emphasizing the importance of the fraction of time, Fs, an analyte spends adsorbed and immobile on the stationary phase. We then calculated some elution times based on assumed values of Fs. We found that elution times for the same separation measured at different flow rates are different, and that the capacity factor, k, is a flow rate independent quantity that normalizes retention time and allows us to compare retention times measured under different conditions. Finally, we saw that for baseline separated peaks their capacity factors are different.
Brian C. Smith, PhD, is Founder, CEO, and Chief Technical Officer of Big Sur Scientific. He is the inventor of the BSS series of patented mid-infrared based cannabis analyzers. Dr. Smith has done pioneering research and published numerous peer-reviewed papers on the application of mid-infrared spectroscopy to cannabis analysis, and sits on the editorial board of Cannabis Science and Technology. He has worked as a laboratory director for a cannabis extractor, as an analytical chemist for Waters Associates and PerkinElmer, and as an analytical instrument salesperson. He has more than 30 years of experience in chemical analysis and has written three books on the subject. Dr. Smith earned his PhD on physical chemistry from Dartmouth College. Direct correspondence to:
Quantum chemistry results, kept here for reference:
- - -
[1]
ORCA calculation (ωB97M-V/def2-TZVPD) on a cluster of 6 separate species, C22H42O15PS in total in a non-equilibrium geometry.

The orbital gap comes out at 6.8422 eV. For the HOMO energy, the calculation gives -0.182 hartree. The maximum force is 0.161 Eh/bohr. Its net charge is -1. The spin multiplicity is 1. The value obtained for the calculated total energy is -74326.79702 eV.

Last column: Löwdin charge in e.
Atoms and positions in Å:
C 2.764 -0.929 -2.093  -0.090
O 1.579 -0.416 -2.818  -0.218
C 1.610 1.062 -2.898  -0.102
C 1.034 1.827 -1.567  -0.341
C 1.795 3.263 -1.353  -0.134
P 3.636 3.143 -0.863  0.752
O 4.031 4.576 -0.237  -0.394
O 4.002 1.966 0.366  -0.206
O 4.638 2.998 -2.312  -0.232
O 0.954 1.120 -0.278  -0.217
S -0.338 1.722 0.717  0.904
O -1.056 0.407 1.211  -0.364
O 0.027 2.453 2.031  -0.320
O -1.108 2.626 -0.527  -0.197
C -0.571 2.208 -1.839  -0.313
C -1.577 0.935 -2.212  -0.033
C -0.918 3.304 -3.018  -0.355
O -1.512 2.935 -4.186  -0.146
O -0.669 4.778 -2.897  -0.258
H 2.343 -1.528 -1.163  0.098
H 3.315 -1.706 -2.781  0.110
H 3.481 -0.047 -1.800  0.072
H 0.938 1.347 -3.836  0.164
H 2.688 1.477 -3.145  0.123
H 1.231 3.877 -0.505  0.144
H 1.762 3.819 -2.404  0.143
H 4.031 1.029 0.014  0.061
H 5.053 2.085 -2.345  0.069
H -1.179 0.327 -3.158  0.107
H -2.678 1.320 -2.433  0.111
H -1.692 0.168 -1.311  0.084
C -0.354 -3.204 0.272  -0.017
C 0.670 -3.986 -0.505  -0.471
O 1.170 -3.536 -1.535  0.041
C 1.060 -5.339 0.026  -0.026
H -0.537 -2.247 -0.228  0.084
H -1.293 -3.761 0.315  0.069
H 0.017 -3.005 1.281  0.064
H 0.184 -5.992 0.058  0.082
H 1.494 -5.236 1.024  0.078
H 1.807 -5.788 -0.637  0.081
C -5.204 -3.582 -0.623  -0.038
C -4.098 -3.551 -1.644  -0.475
O -2.931 -3.344 -1.314  0.049
C -4.474 -3.782 -3.083  -0.026
H -4.785 -3.399 0.372  0.088
H -5.935 -2.800 -0.844  0.077
H -5.684 -4.563 -0.626  0.086
H -5.173 -3.009 -3.413  0.086
H -4.922 -4.773 -3.195  0.082
H -3.575 -3.732 -3.706  0.086
C 6.323 6.200 0.967  -0.044
C 7.331 7.026 1.720  -0.497
O 8.471 7.193 1.288  0.032
C 6.893 7.639 3.023  -0.036
H 6.779 5.822 0.046  0.085
H 6.009 5.350 1.577  0.083
H 5.461 6.818 0.702  0.086
H 6.604 6.852 3.725  0.083
H 6.056 8.320 2.850  0.084
H 7.723 8.206 3.455  0.077
C 1.734 -1.702 3.137  -0.022
C 3.116 -2.245 2.888  -0.490
O 3.621 -2.217 1.766  0.045
C 3.856 -2.824 4.064  -0.031
H 1.321 -1.317 2.198  0.072
H 1.083 -2.498 3.505  0.086
H 1.782 -0.884 3.860  0.093
H 3.299 -3.670 4.473  0.083
H 3.998 -2.056 4.828  0.085
H 4.839 -3.177 3.735  0.082
C -8.409 -0.991 1.643  -0.022
C -8.679 -2.418 1.244  -0.483
O -7.761 -3.187 0.964  0.043
C -10.115 -2.867 1.201  -0.029
H -7.329 -0.809 1.630  0.089
H -8.887 -0.311 0.934  0.087
H -8.782 -0.812 2.654  0.086
H -10.669 -2.269 0.473  0.085
H -10.564 -2.770 2.193  0.084
H -10.157 -3.918 0.898  0.083



[2]
ORCA calculation (ωB97M-V/def2-TZVPD) on a cluster of 6 separate species, C22H43B2FO17 in total.
- - -
Smith, B., Chromatography Theory, Part III: Calculating Elution Times and Capacity Factors, Cannabis Science and Technology, 2023, 6(2), 8-11.